Update Firefox UbuntuAccessing the internet using the older Firefox version involves various security risks. In older versions known security bugs might give attention to hackers to break the system security. Firefox must be kept up to date for minimizing the security risk. Firefox is a default browser on Ubuntu. Also, it gets installed while Ubuntu is installed. However, the latest Firefox version is used while the installation disk of Ubuntu is compiled, it must be updated after the installation process. Both Ubuntu and Firefox use different release and update cycles. We might get a previous version of Firefox because of this difference from the default installation. The web browser is arguably the most essential software piece on our system. We use many web browsers to maintain the social networks for online banking. All hackers exploit the vulnerabilities of our browser to attack our system and steal important data, so it's very necessary for us to keep our browser updated. To see the currently installed version of Firefox, we need to open the command line terminal and enter the following command: Install and update developer versionWith the stable and regular versions, Firefox publishes the developer versions as well. The developer version includes the latest features and updates. Firefox offers these features and updates without testing hence these versions may include bugs or may not implement as expected. If we use Firefox only to access the internet or as regular users, there is no requirement for using these versions. This developer version is just intended for developers, security testers, programmers, or administrators who want for testing their programs or applications with a new version. Ubuntu by default doesn't install and update a developer version. If we require this version for the purpose of development, then we can install it using the following commands:
Installing Firefox using the Ubuntu Software Manager with Snap StoreFor a user who doesn't want to use the terminal window much, installing any software available in the repository of Ubuntu from the UI is very easy.
Launching FirefoxNow, Firefox should ideally be present in our system Activities/Dock panel. Also, we can access it using the Ubuntu application launcher bar or directly access it using the applications listing. Removing FirefoxIf we want to delete Firefox that we installed with the help of the above method, then we can delete it from our system using the following method:
How to check the installed Firefox versionWe need to follow the following steps to check the currently installed Firefox version:
The information of the version will be displayed in the opened pop-up window. We can update the Firefox version to the current version if the version is not the latest one. We can do it by following the techniques explained as follows. How to update the installed Firefox versionFirefox browser is installed as the core extension on Ubuntu. Automatically, Ubuntu establishes and configures mandatory repositories for these core extensions for easier management. These repositories include every necessary detail that Ubuntu requires for managing the core extensions. We can update the core extension using these repositories in two ways which are mentioned below:
Updating the whole systemEvery core extension is get updated to their stable and latest version if we implement a system update. Also, Firefox gets updated because it is a part of these core extensions as well. We need to connect our system to the internet and execute the following commands to implement a system update:
Someone pasted records of crystals at this point.
........
# 1
# YNiSn

A crystal of YNiSn relaxed with PBEsol (meta-GGA SCAN, the Alexandria database).

Unit cell a=7.0503 b=4.4067 c=7.5806 alpha=90.00 beta=90.00 gamma=90.00
With the nearest neighbours (Å) after each atom.
Space group Pnma (No. 62)
One atom of each set of equivalent atoms:
1 Y 0.0134 0.2500 0.1994 x4  6 Ni 2.96-3.31, 6 Sn 3.08-3.17
2 Ni 0.2014 0.7500 0.4131 x4  4 Sn 2.57-2.73
3 Sn 0.1863 0.2500 0.5858 x4  4 Ni 2.57-2.73

Summary:
Energy relative to the elements, kJ/mol of atoms: -75
Total moment, μB per formula unit: 0.0

---

# 2
# Zr6NiSn2

A crystal of Zr6NiSn2 relaxed with PBEsol (meta-GGA SCAN, the Alexandria database).

Unit cell a=7.8529 b=7.8529 c=3.5141 alpha=90.00 beta=90.00 gamma=120.00
With the nearest neighbours (Å) after each atom.
Space group P-62m (No. 189)
One atom of each set of equivalent atoms:
1 Zr 0.0000 0.3980 0.0000 x3  4 Sn 2.98, 1 Ni 3.13, 6 Zr 3.25-3.31
2 Zr 0.0000 0.7557 0.5000 x3  2 Ni 2.60
3 Ni 0.0000 0.0000 0.0000 x1  6 Zr 2.60
4 Sn 0.3333 0.6667 0.5000 x2  9 Zr 2.98-3.03

Summary:
Energy relative to the elements, kJ/mol of atoms: -51
Total moment, μB per formula unit: 0.0

---

# 3
# ZrNi4Sn

A crystal of ZrNi4Sn relaxed with PBEsol (meta-GGA SCAN, the Alexandria database).

Unit cell a=6.8312 b=6.8312 c=6.8312 alpha=90.00 beta=90.00 gamma=90.00
With the nearest neighbours (Å) after each atom.
Space group F-43m (No. 216)
One atom of each set of equivalent atoms:
1 Zr 0.0000 0.0000 0.0000 x4  12 Ni 2.83, 4 Sn 2.96
2 Ni 0.1253 0.1253 0.3747 x16  6 Ni 2.41-2.42
3 Sn 0.2500 0.2500 0.7500 x4  12 Ni 2.83, 4 Zr 2.96

Summary:
Energy relative to the elements, kJ/mol of atoms: -37
Total moment, μB per formula unit: 0.6

---

# 4
# ZrNiSn2

A crystal of ZrNiSn2 relaxed with PBEsol (meta-GGA SCAN, the Alexandria database).

Unit cell a=6.7344 b=6.7344 c=6.7344 alpha=90.00 beta=90.00 gamma=90.00
With the nearest neighbours (Å) after each atom.
Space group Fm-3m (No. 225)
One atom of each set of equivalent atoms:
1 Zr 0.0000 0.0000 0.0000 x4  8 Sn 2.92
2 Ni 0.0000 0.0000 0.5000 x4  8 Sn 2.92
3 Sn 0.2500 0.2500 0.2500 x8  4 Zr 2.92, 4 Ni 2.92

Summary:
Energy relative to the elements, kJ/mol of atoms: 7
Total moment, μB per formula unit: 0.7

---

# 5
# SrNi3

A crystal of SrNi3 relaxed with PBEsol (meta-GGA SCAN, the Alexandria database).

Unit cell a=4.0037 b=6.4986 c=5.4007 alpha=90.00 beta=90.00 gamma=90.00
With the nearest neighbours (Å) after each atom.
Space group Pmmn (No. 59, origin choice 2)
One atom of each set of equivalent atoms:
1 Sr 0.2500 0.2500 0.1087 x2  4 Ni 2.87-3.04
2 Ni 0.2500 0.0654 0.5911 x4  6 Ni 2.31-2.40
3 Ni 0.2500 0.7500 0.3923 x2  6 Ni 2.31-2.34

Summary:
Energy relative to the elements, kJ/mol of atoms: 2
Total moment, μB per formula unit: 0.0

---

# 6
# SrNi

A crystal of SrNi relaxed with PBEsol (meta-GGA SCAN, the Alexandria database).

Unit cell a=4.0346 b=4.1664 c=13.7385 alpha=90.00 beta=90.00 gamma=90.00
With the nearest neighbours (Å) after each atom.
Space group Imma (No. 74)
........
The text goes on.
We will need to restart our system using the following command once every update is retrieved and installed: Note: The reboot command is not needed, but it is the easiest way for cleaning the package's leftovers and cache.Check the version of the Firefox browser again for verifying that it is updated after restarting the system. Individually updating FirefoxIf we wish update just Firefox because of any reasons (like low balance data or slow internet connection) then we need to use the below commands:
Launching FirefoxWe need to use the following command for launching the Firefox browser: Uninstall or remove FirefoxWe need to run the following command to remove the Firefox browser: Click "y" and the uninstallation process will begin. We would not have the Firefox browser on our system. Until the cache of the package is cleared, the version information of Firefox doesn't update. We need to you either use the below command or restart the system for cleaning the package cache: We need to check the version of Firefox again for verifying the update once the packet cache is cleaned. Next TopicUpdate Node Version Ubuntu |